_Activity_
Find the line underneath that holds "-0.638 0.18", then give back that line and all lines after it there.
_Source_
- - -
w) Here is 2 unconnected molecules or ions with the total composition C2H7N2O from the OMol25 dataset. Energies are from the ωB97M-V functional and the def2-TZVPD basis.

```
12
Properties=species:S:1:pos:R:3:mulliken_charge:R:1
C 1.782 -0.547 -0.086 -0.50
C -1.902 0.537 0.074 -0.76
N 1.136 0.645 -0.132 -0.23
N -0.748 -0.198 0.013 0.34
O -0.601 -1.272 0.517 -0.29
H 2.069 -0.756 1.050 0.28
H 1.104 -1.456 -0.266 0.32
H 2.736 -0.699 -0.818 0.36
H -1.958 1.323 0.852 0.37
H -2.661 -0.054 0.435 0.43
H -1.944 1.294 -0.636 0.35
H 0.986 1.183 -1.003 0.32
```

Summary:
**Total charge**: +1
**HOMO**: -15.55 eV
**Gap between HOMO and LUMO**: 8.41 eV



x) Here is 2 unconnected molecules or ions with the total composition C2H7N2O from the OMol25 dataset. Energies are from the ωB97M-V functional and the def2-TZVPD basis.

```
12
Properties=species:S:1:pos:R:3:mulliken_charge:R:1
C -0.157 -0.232 -0.979 0.37
C 1.373 -0.975 -2.856 -0.57
N 0.608 -0.645 -1.759 -0.02
N -1.400 1.394 2.064 -0.58
O -0.870 0.227 -0.181 -0.60
H -1.111 1.004 1.022 0.47
H 2.044 -1.695 -2.475 0.26
H 0.583 -1.432 -3.678 0.27
H 1.938 -0.112 -3.265 0.28
H -0.740 1.716 2.753 0.36
H -2.079 0.917 2.559 0.35
H -1.812 2.392 1.984 0.41
```

Summary:
**Total charge**: +1
**HOMO**: -14.48 eV
**Gap between HOMO and LUMO**: 10.88 eV



y) Here is a molecular structure, C2H7N2O from the OMol25 dataset. Energies are from the ωB97M-V functional and the def2-TZVPD basis.

```
12
Properties=species:S:1:pos:R:3:mulliken_charge:R:1
C -1.838 -0.595 -0.754 -0.27
C 1.428 0.879 1.481 -0.06
N -1.015 -1.044 -1.563 0.22
N 1.465 0.021 0.526 -0.27
O 0.175 -0.582 -1.662 -0.56
H -1.675 0.294 -0.251 0.30
H -2.881 -1.086 -0.630 0.25
H 2.207 0.999 2.222 0.25
H 0.761 1.718 1.512 0.25
H 2.316 -0.574 0.616 0.25
H -1.103 -1.948 -2.042 0.29
H 0.585 -0.130 -0.454 0.35
```

Summary:
**Total charge**: +1
**HOMO**: -14.84 eV
**Gap between HOMO and LUMO**: 10.64 eV



Which of them is least stable? Easy: w).



w) Here is a gas-phase ion, C2H3O3 (charge -1) from the OMol25 dataset. Energies are from the ωB97M-V functional and the def2-TZVPD basis.

```
8
Properties=species:S:1:pos:R:3:mulliken_charge:R:1
C -1.266 -0.198 0.078 0.58
C 1.027 0.167 -0.098 -0.55
O -2.482 0.590 -0.035 -0.80
O -1.067 -1.369 0.339 -0.62
O -0.219 0.719 -0.202 -0.25
H 1.231 -0.090 1.092 0.15
H 1.693 0.928 -0.638 0.18
H 1.083 -0.748 -0.536 0.30
```

Summary:
**Total charge**: -1
**HOMO**: -3.54 eV
**Gap between HOMO and LUMO**: 7.77 eV



x) Here is 2 unconnected molecules or ions with the total composition C2H3O3 from the OMol25 dataset. Energies are from the ωB97M-V functional and the def2-TZVPD basis.

```
8
Properties=species:S:1:pos:R:3:mulliken_charge:R:1
C -2.445 0.239 -0.190 0.45
C -0.099 0.059 0.275 -0.51
O -4.208 -0.567 0.180 -0.84
O -2.272 1.307 -0.657 -0.49
O -1.428 -0.550 0.234 -0.26
H 0.704 -0.501 -0.428 0.18
H 0.229 -0.055 1.338 0.20
H -0.096 1.214 0.090 0.25
```

Summary:
**Total charge**: -1
**HOMO**: -3.01 eV
**Gap between HOMO and LUMO**: 6.89 eV



Which of them is least stable? Easy: x).



w) Here is C8H6N2O in the gas phase from the OMol25 dataset. Energies are from the ωB97M-V functional and the def2-TZVPD basis.

```
17
Properties=species:S:1:pos:R:3:mulliken_charge:R:1
C -0.957 -0.675 2.275 -0.30
C -0.535 0.506 2.828 -0.21
C 0.110 1.511 1.966 0.01
C -0.037 0.093 0.182 0.51
C -0.728 -0.906 0.923 -0.66
C 0.194 -0.121 -1.190 0.17
C 0.344 -0.812 -3.150 -0.39
C 1.098 0.228 -3.124 -0.11
H -1.286 -1.489 2.969 0.33
H -0.620 0.653 4.077 0.17
H 0.462 2.521 2.518 0.25
H -1.190 -1.664 0.593 0.61
H 0.209 -1.502 -3.984 0.37
H 1.716 0.794 -3.829 0.39
N 0.381 1.240 0.783 -0.35
N -0.189 -1.128 -1.938 -0.49
O 1.030 0.753 -1.897 -0.30
```

Summary:
**Total charge**: 0
**HOMO**: -8.60 eV
**Gap between HOMO and LUMO**: 8.62 eV



x) Here is 2 unconnected molecules or ions with the total composition C8H6N2O from the OMol25 dataset. Energies are from the ωB97M-V functional and the def2-TZVPD basis.

```
17
- - -
_Result_
H 1.693 0.928 -0.638 0.18
H 1.083 -0.748 -0.536 0.30
```

Summary:
**Total charge**: -1
**HOMO**: -3.54 eV
**Gap between HOMO and LUMO**: 7.77 eV



x) Here is 2 unconnected molecules or ions with the total composition C2H3O3 from the OMol25 dataset. Energies are from the ωB97M-V functional and the def2-TZVPD basis.

```
8
Properties=species:S:1:pos:R:3:mulliken_charge:R:1
C -2.445 0.239 -0.190 0.45
C -0.099 0.059 0.275 -0.51
O -4.208 -0.567 0.180 -0.84
O -2.272 1.307 -0.657 -0.49
O -1.428 -0.550 0.234 -0.26
H 0.704 -0.501 -0.428 0.18
H 0.229 -0.055 1.338 0.20
H -0.096 1.214 0.090 0.25
```

Summary:
**Total charge**: -1
**HOMO**: -3.01 eV
**Gap between HOMO and LUMO**: 6.89 eV



Which of them is least stable? Easy: x).



w) Here is C8H6N2O in the gas phase from the OMol25 dataset. Energies are from the ωB97M-V functional and the def2-TZVPD basis.

```
17
Properties=species:S:1:pos:R:3:mulliken_charge:R:1
C -0.957 -0.675 2.275 -0.30
C -0.535 0.506 2.828 -0.21
C 0.110 1.511 1.966 0.01
C -0.037 0.093 0.182 0.51
C -0.728 -0.906 0.923 -0.66
C 0.194 -0.121 -1.190 0.17
C 0.344 -0.812 -3.150 -0.39
C 1.098 0.228 -3.124 -0.11
H -1.286 -1.489 2.969 0.33
H -0.620 0.653 4.077 0.17
H 0.462 2.521 2.518 0.25
H -1.190 -1.664 0.593 0.61
H 0.209 -1.502 -3.984 0.37
H 1.716 0.794 -3.829 0.39
N 0.381 1.240 0.783 -0.35
N -0.189 -1.128 -1.938 -0.49
O 1.030 0.753 -1.897 -0.30
```

Summary:
**Total charge**: 0
**HOMO**: -8.60 eV
**Gap between HOMO and LUMO**: 8.62 eV



x) Here is 2 unconnected molecules or ions with the total composition C8H6N2O from the OMol25 dataset. Energies are from the ωB97M-V functional and the def2-TZVPD basis.

```
17